Fall Safety 101 | Safetouch Security Systems

Fall Safety 101

The fall season brings more than the promise of cooler weather, hot cider, and the anticipation of the holidays. With the arrival of autumn comes the time to do a little maintenance around your home. Once you fall into it, these small chores will let you enjoy the end of the year without worry!

+++
MgO: simulated powder X-ray diffraction pattern (CuKα), based on a DFT-relaxed cell (GGA-PBE, the Materials Project).

Atomic structure:
abc: 3.525 3.525 4.231
angles: 90.00 90.00 120.00
Fractional coordinates of all 4 atoms:
Mg 0.333 0.667 0.250
Mg 0.667 0.333 0.750
O 0.333 0.667 0.750
O 0.667 0.333 0.250

The 8 most intense peaks (2θ from 5° to 70°), low angle first:
| two_theta | I_rel | hkl |
| --- | --- | --- |
| 29.3 | 100 | 1 0 0 |
| 36.3 | 15 | 1 0 1 |
| 42.7 | 42 | 0 0 2 |
| 51.9 | 67 | 1 1 0 |
| 52.6 | 32 | 1 0 2 |
| 60.7 | 10 | 2 0 0 |
| 65.0 | 5 | 2 0 1 |
| 69.4 | 48 | 1 1 2 |
+++
-- The piece goes on --

Fall Season Maintenance for Outside the Home

Now is a great time to clean up around the outside of your property. As you do, keep a few safety tips in mind:

Data records from another source follow:
1.
For B2O, a DFT-relaxed cell (PBE, the Materials Project) gives the simulated powder diffractogram in this record (Cu Kα (weighted mean of Kα1 and Kα2)).
Intensities are scaled so that the largest is 100.

Main lines, by angle (10° ≤ 2θ ≤ 90°):
Position (°2θ)	d (Å)	Rel. int.	(hkl)
17.5	5.066	55	0 0 2
26.4	3.377	100	0 0 3
35.4	2.533	14	0 0 4
41.5	2.175	48	0 1 1
44.4	2.039	31	0 1 2
44.7	2.026	10	0 0 5
49.0	1.859	30	0 1 3
69.9	1.346	20	0 1 6
73.7	1.286	17	1 1 0
79.8	1.202	12	1 1 3

Atomic structure:
```
data_B2O
_chemical_formula_sum 'B4 O2'
_symmetry_space_group_name_H-M 'P -3 m 1'
_symmetry_Int_Tables_number 164
_symmetry_space_group_name_Hall '-P 3 2"'
_cell_length_a 2.5716
_cell_length_b 2.5716
_cell_length_c 10.1316
_cell_angle_alpha 90.00
_cell_angle_beta 90.00
_cell_angle_gamma 120.00
loop_
_atom_site_label
_atom_site_type_symbol
_atom_site_fract_x
_atom_site_fract_y
_atom_site_fract_z
_atom_site_occupancy
B1 B 0.0000 0.0000 0.0863 1
B2 B 0.3333 0.6667 0.4744 1
O1 O 0.3333 0.6667 0.1411 1
```

2.
For CsAgCl2, a DFT-relaxed cell (PBE, the Materials Project) gives the simulated powder diffractogram in this record (Cu Kα (weighted mean of Kα1 and Kα2)).
Intensities are scaled so that the largest is 100.

Main lines, by angle (10° ≤ 2θ ≤ 90°):
Position (°2θ)	d (Å)	Rel. int.	(hkl)
23.9	3.722	68	0 4 1
24.3	3.669	26	1 3 0
25.7	3.464	100	1 1 1
28.8	3.095	56	1 3 1
30.5	2.931	75	1 5 0
31.0	2.883	68	0 0 2
40.6	2.222	31	2 0 0
44.1	2.055	53	1 5 2
49.4	1.845	50	1 9 1
52.0	1.760	29	2 0 2

Atomic structure:
```
data_CsAgCl2
_chemical_formula_sum 'Cs4 Ag4 Cl8'
_symmetry_space_group_name_H-M 'C m c m'
_symmetry_Int_Tables_number 63
_symmetry_space_group_name_Hall '-C 2c 2'
_cell_length_a 4.4446
_cell_length_b 19.4957
_cell_length_c 5.7659
_cell_angle_alpha 90.00
_cell_angle_beta 90.00
_cell_angle_gamma 90.00
loop_
_atom_site_label
_atom_site_type_symbol
_atom_site_fract_x
_atom_site_fract_y
_atom_site_fract_z
_atom_site_occupancy
Cs1 Cs 0.0000 0.0825 0.2500 1
Ag1 Ag 0.0000 0.2996 0.2500 1
Cl1 Cl 0.0000 0.2761 0.7500 1
Cl2 Cl 0.0000 0.4309 0.2500 1
```

* * * * *

For Na2PrGeSe4, a DFT-relaxed cell (PBE, Alexandria) gives the theoretical powder X-ray diffraction pattern in this record (Cu Kα (λ = 1.5418 Å)).
Peak positions follow from Bragg's law for the DFT cell and can differ from measured ones.

Atomic structure:
Lattice parameters (Å, degrees): 8.371 8.371 8.371 122.16 118.20 89.72
Sites, in units of the cell vectors:
Na: 0.000 0.000 0.000
Na: 0.500 0.000 0.000
Na: 0.500 0.000 0.500
Na: 0.500 0.500 0.500
Pr: 0.000 0.500 0.500
Pr: 0.500 0.500 0.000
Ge: 0.000 0.000 0.500
Ge: 0.000 0.500 0.000
Se: 0.220 0.249 0.971
Se: 0.222 0.751 0.471
Se: 0.236 0.235 0.499
Se: 0.236 0.737 0.001
Se: 0.764 0.263 0.999
Se: 0.764 0.765 0.501
Se: 0.778 0.249 0.529
Se: 0.780 0.751 0.029

Main lines, in order of rising 2θ (2θ = 15–90°):
Back to the page:

  • Clean up fallen leaves, dead growth, and any debris that may have settled around your outdoor HVAC unit. A wetter season can make leaves slippery, and all that debris can get into your HVAC unit.
  • Got leaves? Think twice before burning them as they are a health and fire hazard. The smoke from burning leaves can contain toxic or irritating particles that are no good for anyone to breathe in. If you have no other choice, be sure to wear a protective mask to prevent breathing these in. Do your burning on a still day when the wind can’t carry embers away to start other fires, and keep your leaf burning well away from buildings.
  • If you are putting up holiday lights early during the fall season or trimming branches, take caution when using your ladder. Wear non-slip footwear that stays secure around your feet. In addition, keep your ladder on a flat surface where it can’t slide.
  • Before you trim that tree, look up! Know what you are cutting so you do not accidentally cut a power line.

Fall Season Maintenance for Inside the Home

Once you’ve finished up outside, head on in for some important fall season maintenance indoors. You’re almost done!

  • Make autumn the season that you change the batteries in your smoke and carbon monoxide detectors. Get into this habit so that your alarms are never running on empty during an emergency. It’s also a great time to check your fire extinguishers for an expiration date. Another great emergency prep idea: get a free pet decal that alerts first responders that you have a furry friend inside.
  • Candles are popular during the winter and fall season. Ensure you burn candles in safe places where pets and children can’t get to them.
  • Using your fireplace? Consider having it inspected if it has been a while since you did so. Keep your fireplace screened, and be certain that your fires are fully extinguished before you leave home or go to bed.
  • If you don’t already have one, consider upgrading to a smart thermostat to save money on bills. Smart thermostats can be programmed to change at certain times of day (for instance, when no one is home), or be adjusted remotely. They can also adjust automatically based on your activity, location, and the weather. You can literally save money without even thinking about it!
  • Longer nights mean more opportunities for wannabe home intruders to hide under the cover of night and potentially break in. Don’t give them the opportunity! Fortify your home with motion sensor lights, HD cameras with 24/7 monitoring, and smart home automation to keep your home and loved ones safe.

Winter is coming, and SafeTouch Security knows how to best prepare your home for the long nights ahead. Contact us today for a quote on a security system that will best fit your fall needs.